(Listing)
/*
DySiRu2C, optimized geometry, DFT PBE; final energy = -81.8 eV per cell; formation energy = -0.616 eV per atom; volume = 15.19 Å³ per atom; space-group type = Cmcm (63)
1.0
1.905 -5.568 0.000
1.905 5.568 0.000
0.000 0.000 7.162
Dy Si Ru C
2 2 4 2
Direct
0.952 0.048 0.750
0.048 0.952 0.250
0.769 0.231 0.250
0.231 0.769 0.750
0.664 0.336 0.943
0.664 0.336 0.557
0.336 0.664 0.057
0.336 0.664 0.443
0.500 0.500 0.000
0.500 0.500 0.500


No. 1
Density functional theory data (PBE) for a relaxed Na3CaNb5Si3P6O36 crystal.

```
108
Lattice="8.8943 0.0000 0.0000 -4.4472 7.7027 0.0000 0.0000 0.0000 23.0803" Properties=species:S:1:pos:R:3 pbc="T T T"
Na 0.0000 0.0000 0.0000
Na 0.0000 0.0000 11.5401
Na 0.0000 5.1351 3.7138
Na 0.0000 5.1351 15.2539
Na 4.4472 2.5676 7.6819
Na 4.4472 2.5676 19.2220
Ca 0.0000 5.1351 0.4666
Ca 0.0000 5.1351 12.0067
Nb 0.0000 0.0000 3.3817
Nb 0.0000 0.0000 8.0994
Nb 0.0000 0.0000 14.9218
Nb 0.0000 0.0000 19.6395
Nb 0.0000 5.1351 7.1807
Nb 0.0000 5.1351 18.7208
Nb 4.4472 2.5676 4.4035
Nb 4.4472 2.5676 11.0620
Nb 4.4472 2.5676 15.9436
Nb 4.4472 2.5676 22.6022
Si -1.2643 2.2128 5.7582
Si -3.1630 5.5014 17.2984
Si 1.2643 2.2128 17.2984
Si -1.8987 7.6913 5.7582
Si 3.1630 5.5014 5.7582
Si 1.8987 7.6913 17.2984
P -1.2998 2.8631 21.1440
P -2.6175 5.1455 9.6039
P 1.2998 2.8631 9.6039
P -1.3177 7.3968 21.1440
P 3.1434 0.3989 13.5119
P 1.9171 2.5228 1.9717
P 2.6175 5.1455 21.1440
P 1.3177 7.3968 9.6039
P 5.7509 0.3989 1.9717
P 3.2209 4.7810 13.5119
P 6.9772 2.5228 13.5119
P 5.6734 4.7810 1.9717
O -0.7509 1.4340 20.8680
O -3.5807 6.3354 9.3278
O -0.5865 1.5101 4.4397
O -3.4326 6.4397 15.9799
O -1.0565 3.7491 13.4955
O -1.7286 4.9132 1.9554
O -1.0331 3.7779 19.9030
O -1.6919 4.9190 8.3629
O -0.6854 3.3549 22.4171
O -1.8845 5.4317 10.8769
O 0.5865 1.5101 15.9799
O -2.8461 7.4556 4.4397
O -0.6020 3.6856 6.0075
O -1.5563 5.3385 17.5476
O 0.7509 1.4340 9.3278
O -2.8298 7.6360 20.8680
O 1.6151 0.2306 7.0577
O 1.0073 1.2834 18.5978
O 1.5859 0.3398 13.6009
O 1.0872 1.2036 2.0608
O 0.6854 3.3549 10.8769
O -1.1990 6.6189 22.4171
O 0.6020 3.6856 17.5476
O -0.9543 6.3812 6.0075
O 1.0331 3.7779 8.3629
O -0.6588 6.7085 19.9030
O 1.0565 3.7491 1.9554
O -0.6721 6.7431 13.4955
O 3.4643 1.2699 12.2201
O 2.8319 2.3653 0.6800
O 3.5019 1.2926 5.5638
O 2.8704 2.3865 17.1039
O 3.6890 1.1752 14.7332
O 2.8623 2.6072 3.1931
O 3.7964 1.1272 21.2910
O 2.8744 2.7242 9.7509
O 1.6919 4.9190 19.9030
O 0.6588 6.7085 8.3629
O 1.7285 4.9132 13.4955
O 0.6721 6.7431 1.9554
O 1.5563 5.3385 6.0075
O 0.9543 6.3812 17.5476
O 1.8845 5.4317 22.4171
O 1.1990 6.6189 10.8769
O 5.0979 1.1272 9.7509
O 3.5251 3.8513 21.2910
O 5.2053 1.1752 3.1931
O 3.6204 3.9203 14.7332
O 5.3924 1.2926 17.1039
O 3.8156 4.0237 5.5638
O 5.4300 1.2699 0.6800
O 3.8147 4.0676 12.2201
O 3.4326 6.4397 4.4397
O 2.8461 7.4556 15.9799
O 3.5807 6.3354 20.8680
O 2.8298 7.6360 9.3278
O 6.0240 2.3865 5.5638
O 5.0787 4.0237 17.1039
O 7.2792 0.2306 18.5978
O 3.8393 6.1886 7.0577
O 6.0624 2.3653 12.2201
O 5.0796 4.0676 0.6800
O 7.3084 0.3398 2.0608
O 3.9484 6.1594 13.6009
O 6.0320 2.6072 14.7332
O 5.2739 3.9203 3.1931
O 6.0200 2.7242 21.2910
O 5.3692 3.8513 9.7509
O 7.8071 1.2036 13.6009
O 4.9459 6.1594 2.0608
O 7.8870 1.2834 7.0577
O 5.0550 6.1886 18.5978
```

Summary:
Energy of formation, eV per atom: -2.9531
Mass density, g/cm³: 2.98
Space group: No. 158

No. 2
Density functional theory data (PBE) for a relaxed PuAl3 crystal.

```
24
Lattice="5.9887 0.0000 0.0000 -2.9944 5.1864 0.0000 0.0000 0.0000 14.4406" Properties=species:S:1:pos:R:3 pbc="T T T"
Pu 0.0000 0.0000 3.6101
Pu 0.0000 0.0000 10.8304
Pu 0.0000 3.4576 1.2317
Pu 0.0000 3.4576 5.9886
Pu 2.9944 1.7288 8.4520
Pu 2.9944 1.7288 13.2089
Al -1.4294 2.6323 10.8304
Al 0.0000 1.7490 8.4124
Al 0.0000 1.7490 13.2485
Al -1.4797 4.3119 8.4124
Al -1.4797 4.3119 13.2485
Al 1.5147 0.8745 1.1921
Al 1.5147 0.8745 6.0282
Al 1.4294 2.6323 10.8304
Al 0.0000 5.1081 10.8304
Al 2.9944 0.0783 3.6101
Al 1.5650 2.5540 3.6101
Al 1.4797 4.3119 8.4124
*/

(What to do)
It remains to reproduce the listing earlier on from the line with "15.2539" to the end without altering anything.

(Here it is)
Na 0.0000 5.1351 15.2539
Na 4.4472 2.5676 7.6819
Na 4.4472 2.5676 19.2220
Ca 0.0000 5.1351 0.4666
Ca 0.0000 5.1351 12.0067
Nb 0.0000 0.0000 3.3817
Nb 0.0000 0.0000 8.0994
Nb 0.0000 0.0000 14.9218
Nb 0.0000 0.0000 19.6395
Nb 0.0000 5.1351 7.1807
Nb 0.0000 5.1351 18.7208
Nb 4.4472 2.5676 4.4035
Nb 4.4472 2.5676 11.0620
Nb 4.4472 2.5676 15.9436
Nb 4.4472 2.5676 22.6022
Si -1.2643 2.2128 5.7582
Si -3.1630 5.5014 17.2984
Si 1.2643 2.2128 17.2984
Si -1.8987 7.6913 5.7582
Si 3.1630 5.5014 5.7582
Si 1.8987 7.6913 17.2984
P -1.2998 2.8631 21.1440
P -2.6175 5.1455 9.6039
P 1.2998 2.8631 9.6039
P -1.3177 7.3968 21.1440
P 3.1434 0.3989 13.5119
P 1.9171 2.5228 1.9717
P 2.6175 5.1455 21.1440
P 1.3177 7.3968 9.6039
P 5.7509 0.3989 1.9717
P 3.2209 4.7810 13.5119
P 6.9772 2.5228 13.5119
P 5.6734 4.7810 1.9717
O -0.7509 1.4340 20.8680
O -3.5807 6.3354 9.3278
O -0.5865 1.5101 4.4397
O -3.4326 6.4397 15.9799
O -1.0565 3.7491 13.4955
O -1.7286 4.9132 1.9554
O -1.0331 3.7779 19.9030
O -1.6919 4.9190 8.3629
O -0.6854 3.3549 22.4171
O -1.8845 5.4317 10.8769
O 0.5865 1.5101 15.9799
O -2.8461 7.4556 4.4397
O -0.6020 3.6856 6.0075
O -1.5563 5.3385 17.5476
O 0.7509 1.4340 9.3278
O -2.8298 7.6360 20.8680
O 1.6151 0.2306 7.0577
O 1.0073 1.2834 18.5978
O 1.5859 0.3398 13.6009
O 1.0872 1.2036 2.0608
O 0.6854 3.3549 10.8769
O -1.1990 6.6189 22.4171
O 0.6020 3.6856 17.5476
O -0.9543 6.3812 6.0075
O 1.0331 3.7779 8.3629
O -0.6588 6.7085 19.9030
O 1.0565 3.7491 1.9554
O -0.6721 6.7431 13.4955
O 3.4643 1.2699 12.2201
O 2.8319 2.3653 0.6800
O 3.5019 1.2926 5.5638
O 2.8704 2.3865 17.1039
O 3.6890 1.1752 14.7332
O 2.8623 2.6072 3.1931
O 3.7964 1.1272 21.2910
O 2.8744 2.7242 9.7509
O 1.6919 4.9190 19.9030
O 0.6588 6.7085 8.3629
O 1.7285 4.9132 13.4955
O 0.6721 6.7431 1.9554
O 1.5563 5.3385 6.0075
O 0.9543 6.3812 17.5476
O 1.8845 5.4317 22.4171
O 1.1990 6.6189 10.8769
O 5.0979 1.1272 9.7509
O 3.5251 3.8513 21.2910
O 5.2053 1.1752 3.1931
O 3.6204 3.9203 14.7332
O 5.3924 1.2926 17.1039
O 3.8156 4.0237 5.5638
O 5.4300 1.2699 0.6800
O 3.8147 4.0676 12.2201
O 3.4326 6.4397 4.4397
O 2.8461 7.4556 15.9799
O 3.5807 6.3354 20.8680
O 2.8298 7.6360 9.3278
O 6.0240 2.3865 5.5638
O 5.0787 4.0237 17.1039
O 7.2792 0.2306 18.5978
O 3.8393 6.1886 7.0577
O 6.0624 2.3653 12.2201
O 5.0796 4.0676 0.6800
O 7.3084 0.3398 2.0608
O 3.9484 6.1594 13.6009
O 6.0320 2.6072 14.7332
O 5.2739 3.9203 3.1931
O 6.0200 2.7242 21.2910
O 5.3692 3.8513 9.7509
O 7.8071 1.2036 13.6009
O 4.9459 6.1594 2.0608
O 7.8870 1.2834 7.0577
O 5.0550 6.1886 18.5978
```

Summary:
Energy of formation, eV per atom: -2.9531
Mass density, g/cm³: 2.98
Space group: No. 158

No. 2
Density functional theory data (PBE) for a relaxed PuAl3 crystal.

```
24
Lattice="5.9887 0.0000 0.0000 -2.9944 5.1864 0.0000 0.0000 0.0000 14.4406" Properties=species:S:1:pos:R:3 pbc="T T T"
Pu 0.0000 0.0000 3.6101
Pu 0.0000 0.0000 10.8304
Pu 0.0000 3.4576 1.2317
Pu 0.0000 3.4576 5.9886
Pu 2.9944 1.7288 8.4520
Pu 2.9944 1.7288 13.2089
Al -1.4294 2.6323 10.8304
Al 0.0000 1.7490 8.4124
Al 0.0000 1.7490 13.2485
Al -1.4797 4.3119 8.4124
Al -1.4797 4.3119 13.2485
Al 1.5147 0.8745 1.1921
Al 1.5147 0.8745 6.0282
Al 1.4294 2.6323 10.8304
Al 0.0000 5.1081 10.8304
Al 2.9944 0.0783 3.6101
Al 1.5650 2.5540 3.6101
Al 1.4797 4.3119 8.4124